### To do
The reader should echo the notes underneath without altering anything.

### Excerpt
/*
Entry A
8
Properties=species:S:1:pos:R:3 method="wB97M-V/def2-TZVPD" orbital_gap_ev=9.52
O 1.1509 1.4011 0.0898
C -1.3563 0.5462 0.0087
C -1.2470 -0.6667 -0.0512
N 0.7797 -0.9512 -0.0400
C 1.2895 0.2013 0.0282
H -1.4141 1.6117 0.0620
H -1.4856 -1.7078 -0.1062
H 2.2829 -0.4346 0.0086



Entry B
8
Properties=species:S:1:pos:R:3 method="wB97M-V/def2-TZVPD" orbital_gap_ev=8.43
C 0.2352 -0.3418 0.3470
C -0.9160 1.5440 -0.8001
C 0.9653 -1.4960 0.8473
N -0.2713 0.5938 -0.2011
O 1.6451 -1.6401 1.7989
H -1.2625 1.1112 -1.7076
H -1.0599 2.4953 -0.3028
H 0.6640 -2.2664 0.0184



entry B is favored, and the nearest alternative lies 0.0678 hartree above it.



Entry A
22
Properties=species:S:1:pos:R:3 method="wB97M-V/def2-TZVPD" orbital_gap_ev=9.39 smiles=CN1CCC[C@H]1CN
C -1.6151 -0.2001 1.6100
N -0.3727 0.0149 0.9223
C 0.1052 1.4134 0.9150
C 0.4062 1.8037 -0.5401
C -0.0097 0.6233 -1.4399
C -0.3852 -0.5153 -0.4215
C 0.4637 -1.7766 -0.5551
N 1.8909 -1.4376 -0.6244
H -1.5147 0.1261 2.6461
H -1.8929 -1.2478 1.5924
H -2.4708 0.3404 1.1641
H 1.0407 1.4635 1.4543
H -0.6760 2.0477 1.3085
H 1.4706 2.0000 -0.6293
H -0.1511 2.6978 -0.8169
H -0.8919 0.8900 -2.0137
H 0.7940 0.2019 -2.0323
H -1.3890 -0.7831 -0.7903
H 0.2872 -2.2894 -1.5031
H 0.2214 -2.3744 0.3036
H 2.2072 -0.7462 0.0382
H 2.4821 -2.2522 -0.5877



Entry B
22
Properties=species:S:1:pos:R:3 method="wB97M-V/def2-TZVPD" orbital_gap_ev=9.30 smiles=CN1CCC[C@H]1CN
C -1.7441 -0.2648 1.3304
N -0.4367 -0.1096 0.7239
C 0.2817 1.1018 1.1817
C 0.8597 1.8956 0.0250
C 0.6702 0.9667 -1.1639
C -0.3786 -0.1043 -0.7904
C 0.0456 -1.5249 -1.2888
N 1.0199 -2.1535 -0.3563
H -1.5152 -0.2296 2.3867
H -2.1503 -1.2779 1.1597
H -2.4615 0.5256 1.0640
H 1.0462 0.6986 1.8545
H -0.3860 1.8002 1.7440
H 1.9208 2.0865 0.1993
H 0.4455 2.9043 -0.0692
H 0.4899 1.2823 -2.1911
H 1.5834 0.4031 -1.3683
H -1.3588 0.0791 -1.2357
H 0.5170 -1.4979 -2.2642
H -0.7154 -2.3199 -1.3225
H 1.7145 -1.5511 0.0439
H 0.5522 -2.7101 0.3372



entry A is favored, and the nearest alternative lies 0.0144 hartree above it.



Entry A
22
Properties=species:S:1:pos:R:3 method="wB97M-V/def2-TZVPD" orbital_gap_ev=7.90
C -0.8220 1.1208 0.5257
N -1.7166 0.0974 1.0569
C -0.9807 -1.1315 1.3455
N -1.7047 -1.9619 2.3072
C -0.2090 0.8945 -0.8728
C 1.1567 1.5189 -1.0621
C 2.2190 0.6800 -1.2692
C 2.2814 -0.4756 -2.2454
H -1.3126 2.0697 0.4983
H 0.0066 1.2191 1.2259
H -2.3707 -0.1450 0.3250
H -0.8646 -1.7996 0.4843
H 0.0236 -0.8807 1.6764
H -2.1354 -2.7327 1.8205
H -1.1937 -2.3222 3.0911
H -0.9474 1.1840 -1.6278
H -0.0319 -0.1776 -0.9869
H 1.2258 2.5103 -1.4911
H 1.9585 -0.6730 -1.1473
H 3.2142 1.0150 -0.9654
H 3.2079 -0.9158 -2.5662
H 1.4087 -0.5558 -2.8676



Entry B
22
Properties=species:S:1:pos:R:3 method="wB97M-V/def2-TZVPD" orbital_gap_ev="7.96 / 6.20"
C 0.3250 0.1260 -0.0288
C -0.4738 -0.9014 -0.3721
C -2.1437 0.9897 -0.3478
C 1.1255 0.8738 -1.0475
C 0.5026 0.5480 1.3951
N -2.8536 0.9820 0.8438
C 1.8718 -2.1891 -0.0405
N 2.8025 -2.3119 -0.8784
H -2.3962 1.4050 1.6383
H -3.3071 0.1141 1.0893
H 2.7809 -1.6047 -1.6240
H -0.5585 -1.2266 -1.3986
H -1.0106 -1.4695 0.3745
H 1.8550 -2.9412 0.7765
H -1.6299 1.9132 -0.5792
H -2.6276 0.5002 -1.1826
H 0.8826 0.5684 -2.0649
H 1.5429 0.3957 1.6923
H 0.9709 1.9527 -0.9569
H 2.1887 0.6835 -0.8744
H -0.1315 -0.0226 2.0731
H 0.2840 1.6147 1.5126



entry A is favored, and the nearest alternative lies 0.0238 hartree above it.
*/

### Solution
Entry A
8
Properties=species:S:1:pos:R:3 method="wB97M-V/def2-TZVPD" orbital_gap_ev=9.52
O 1.1509 1.4011 0.0898
C -1.3563 0.5462 0.0087
C -1.2470 -0.6667 -0.0512
N 0.7797 -0.9512 -0.0400
C 1.2895 0.2013 0.0282
H -1.4141 1.6117 0.0620
H -1.4856 -1.7078 -0.1062
H 2.2829 -0.4346 0.0086



Entry B
8
Properties=species:S:1:pos:R:3 method="wB97M-V/def2-TZVPD" orbital_gap_ev=8.43
C 0.2352 -0.3418 0.3470
C -0.9160 1.5440 -0.8001
C 0.9653 -1.4960 0.8473
N -0.2713 0.5938 -0.2011
O 1.6451 -1.6401 1.7989
H -1.2625 1.1112 -1.7076
H -1.0599 2.4953 -0.3028
H 0.6640 -2.2664 0.0184



entry B is favored, and the nearest alternative lies 0.0678 hartree above it.



Entry A
22
Properties=species:S:1:pos:R:3 method="wB97M-V/def2-TZVPD" orbital_gap_ev=9.39 smiles=CN1CCC[C@H]1CN
C -1.6151 -0.2001 1.6100
N -0.3727 0.0149 0.9223
C 0.1052 1.4134 0.9150
C 0.4062 1.8037 -0.5401
C -0.0097 0.6233 -1.4399
C -0.3852 -0.5153 -0.4215
C 0.4637 -1.7766 -0.5551
N 1.8909 -1.4376 -0.6244
H -1.5147 0.1261 2.6461
H -1.8929 -1.2478 1.5924
H -2.4708 0.3404 1.1641
H 1.0407 1.4635 1.4543
H -0.6760 2.0477 1.3085
H 1.4706 2.0000 -0.6293
H -0.1511 2.6978 -0.8169
H -0.8919 0.8900 -2.0137
H 0.7940 0.2019 -2.0323
H -1.3890 -0.7831 -0.7903
H 0.2872 -2.2894 -1.5031
H 0.2214 -2.3744 0.3036
H 2.2072 -0.7462 0.0382
H 2.4821 -2.2522 -0.5877



Entry B
22
Properties=species:S:1:pos:R:3 method="wB97M-V/def2-TZVPD" orbital_gap_ev=9.30 smiles=CN1CCC[C@H]1CN
C -1.7441 -0.2648 1.3304
N -0.4367 -0.1096 0.7239
C 0.2817 1.1018 1.1817
C 0.8597 1.8956 0.0250
C 0.6702 0.9667 -1.1639
C -0.3786 -0.1043 -0.7904
C 0.0456 -1.5249 -1.2888
N 1.0199 -2.1535 -0.3563
H -1.5152 -0.2296 2.3867
H -2.1503 -1.2779 1.1597
H -2.4615 0.5256 1.0640
H 1.0462 0.6986 1.8545
H -0.3860 1.8002 1.7440
H 1.9208 2.0865 0.1993
H 0.4455 2.9043 -0.0692
H 0.4899 1.2823 -2.1911
H 1.5834 0.4031 -1.3683
H -1.3588 0.0791 -1.2357
H 0.5170 -1.4979 -2.2642
H -0.7154 -2.3199 -1.3225
H 1.7145 -1.5511 0.0439
H 0.5522 -2.7101 0.3372



entry A is favored, and the nearest alternative lies 0.0144 hartree above it.



Entry A
22
Properties=species:S:1:pos:R:3 method="wB97M-V/def2-TZVPD" orbital_gap_ev=7.90
C -0.8220 1.1208 0.5257
N -1.7166 0.0974 1.0569
C -0.9807 -1.1315 1.3455
N -1.7047 -1.9619 2.3072
C -0.2090 0.8945 -0.8728
C 1.1567 1.5189 -1.0621
C 2.2190 0.6800 -1.2692
C 2.2814 -0.4756 -2.2454
H -1.3126 2.0697 0.4983
H 0.0066 1.2191 1.2259
H -2.3707 -0.1450 0.3250
H -0.8646 -1.7996 0.4843
H 0.0236 -0.8807 1.6764
H -2.1354 -2.7327 1.8205
H -1.1937 -2.3222 3.0911
H -0.9474 1.1840 -1.6278
H -0.0319 -0.1776 -0.9869
H 1.2258 2.5103 -1.4911
H 1.9585 -0.6730 -1.1473
H 3.2142 1.0150 -0.9654
H 3.2079 -0.9158 -2.5662
H 1.4087 -0.5558 -2.8676



Entry B
22
Properties=species:S:1:pos:R:3 method="wB97M-V/def2-TZVPD" orbital_gap_ev="7.96 / 6.20"
C 0.3250 0.1260 -0.0288
C -0.4738 -0.9014 -0.3721
C -2.1437 0.9897 -0.3478
C 1.1255 0.8738 -1.0475
C 0.5026 0.5480 1.3951
N -2.8536 0.9820 0.8438
C 1.8718 -2.1891 -0.0405
N 2.8025 -2.3119 -0.8784
H -2.3962 1.4050 1.6383
H -3.3071 0.1141 1.0893
H 2.7809 -1.6047 -1.6240
H -0.5585 -1.2266 -1.3986
H -1.0106 -1.4695 0.3745
H 1.8550 -2.9412 0.7765
H -1.6299 1.9132 -0.5792
H -2.6276 0.5002 -1.1826
H 0.8826 0.5684 -2.0649
H 1.5429 0.3957 1.6923
H 0.9709 1.9527 -0.9569
H 2.1887 0.6835 -0.8744
H -0.1315 -0.0226 2.0731
H 0.2840 1.6147 1.5126



entry A is favored, and the nearest alternative lies 0.0238 hartree above it.